Spring Boot Project demonstrating JPA and Hibernate capabilities. Examples covering Entities, SpringJDBC, JPA, Hibernate, SpringDataJPA, SQL Queries Using JPQL, Native Queries, basics of SpringREST/REST APIs, En cache for Second level caching using H2 database , MySQL and MongoDB along with TestNG Unit Tests examples for Repositories, utilising Lombok and Faker libraries
- Java
- SpringBoot
- Hibernate
- H2 Database, MySQL Database, MongoDB
- TestNG
Examples | Packages/Files/Location |
CRUD operations using SpringJDBC | jdbcRepository - Repository implementing Methods for SQL CRUD queries, JDBCApplication - Runner Class to Run the JDBC specific operations |
CRUD operations using JPA and Hibernate using Entity Manager | entitymanager - package containing the entities, repository and test (segregated at entity, repository and test layer) |
Custom Methods for CRUD operations | CourseSpringDataRepositoryImpl - Repository Interface implementing Custom Methods |
SpringDataJPA queries (Finder methods) | springjpadata - package containing the entities, repository and test (segregated at entity, repository and test layer) |
Inheritance Mapping | inheritancemapping - package containing the entities, repository and test (segregated at entity, repository and test layer) |
Component Mapping/Embedded Table in Entity | componentmapping - package containing the entities, repository and test (segregated at entity, repository and test layer) |
CRUD operations/pagination/sorting using JPQL, Native SQL Query | springdatajpa - package containing the entities, repository and test (segregated at entity, repository and test layer) |
Relationships | relationships - package containing the entities, repository and test (segregated at entity, repository and test layer) |
AutoGenerated ID using custom Table, Composite Key IDs, Embedded IDs | customids - package containing the entities, repository and test (segregated at entity, repository and test layer) |
File Saving and Retrieving | fileshandling - package containing the entities, repository and test (segregated at entity, repository and test layer) |
• Next to the piece, the page also holds calculated crystals:
- - -
Diffraction record for NiSnHg3. The powder diffraction line list is theoretical, not measured: it uses a crystal structure in Alexandria, relaxed with GGA-PBE and Cu Ka.

Structural model:
abc: 5.0139 5.0139 5.0139
angles: 90.00 90.00 90.00
Atoms (fractional coordinates):
Ni (0.0000, 0.0000, 0.0000)
Sn (0.5000, 0.5000, 0.5000)
Hg (0.0000, 0.0000, 0.5000)
Hg (0.0000, 0.5000, 0.0000)
Hg (0.5000, 0.0000, 0.0000)

Most intense lines, 10 to 90 degrees two-theta, most intense first:
two_theta  I_rel  hkl
30.89  100  1 1 1
35.82  73  2 0 0
51.56  53  2 2 0
61.32  45  3 1 1
86.88  25  4 2 0
84.17  20  3 3 1
64.37  18  2 2 2
17.69  14  1 0 0
75.91  9  4 0 0
40.22  7  2 1 0
54.94  3  3 0 0
78.69  2  4 1 0


Structure and calculated X-ray powder pattern of Ce4ZnP5 (a DFT-relaxed cell (GGA-PBE, Alexandria); a wavelength of 1.5418 Å).
Neutral-atom scattering factors, no anomalous dispersion.

Structural model:
Lattice parameters (Å, degrees): 4.0889 4.0889 46.7993 90.00 90.00 120.00
Space group R-3m (No. 166, hexagonal axes)
Inequivalent atoms, fractional coordinates:
Ce1 0.0000 0.0000 0.1074 x6
Ce2 0.0000 0.0000 0.2978 x6
Zn1 0.0000 0.0000 0.5000 x3
P1 0.0000 0.0000 0.0000 x3
P2 0.0000 0.0000 0.1939 x6
P3 0.0000 0.0000 0.4049 x6

The 10 most intense peaks (10° ≤ 2θ ≤ 80°), by angle:
26.92°, I 59, hkl 0 1 5; 28.58°, I 23, hkl 0 0 15; 31.69°, I 100, hkl 1 0 10; 41.55°, I 12, hkl 0 1 17; 44.31°, I 43, hkl 1 1 0; 46.52°, I 24, hkl 0 1 20; 52.61°, I 10, hkl 2 0 5; 53.59°, I 16, hkl 1 1 15; 55.50°, I 24, hkl 0 2 10; 73.61°, I 19, hkl 2 1 10


[1]
Mg2In2Ag3: calculated powder diffractogram (Cu Kα (λ = 1.5418 Å)), based on a DFT-relaxed cell (PBE, Alexandria).

Most intense lines, 5° ≤ 2θ ≤ 70°, in order of falling intensity:
| two_theta | I (rel.) |
| --- | --- |
| 39.67 | 100 |
| 33.33 | 99 |
| 20.90 | 59 |
| 36.62 | 56 |
| 55.08 | 32 |
| 25.67 | 27 |

Cell and atoms:
```
Mg2In2Ag3
1.0
-4.2507 4.2507 4.2507
4.2507 -4.2507 4.2507
4.2507 4.2507 -4.2507
Mg In Ag
4 4 6
Cartesian
2.2591 1.9916 -1.9916
1.9916 -1.9916 2.2591
1.9916 1.9916 1.9916
-1.9916 2.2591 1.9916
4.8697 -0.6190 0.6190
0.6190 4.8697 -0.6190
-0.6190 0.6190 4.8697
3.6317 3.6317 3.6317
4.2507 -2.1253 4.2326
4.2326 4.2507 -2.1253
4.2507 2.1253 0.0181
2.1253 0.0181 4.2507
0.0181 4.2507 2.1253
-2.1253 4.2326 4.2507
```


[2]
AcPrCBr: calculated powder diffractogram (Cu Kα (λ = 1.5418 Å)), based on a DFT-relaxed cell (PBE, Alexandria).

Most intense lines, 5° ≤ 2θ ≤ 70°, in order of falling intensity:
| two_theta | I (rel.) |
| --- | --- |
| 32.54 | 100 |
| 30.42 | 81 |
| 26.56 | 64 |
| 46.39 | 42 |
| 58.92 | 34 |
| 34.27 | 27 |

Cell and atoms:
```
AcPrCBr
1.0
1.9574 1.1301 7.8509
-1.9574 1.1301 7.8509
0.0000 -2.2602 7.8509
Ac Pr C Br
1 1 1 1
Cartesian
0.0000 0.0000 0.0000
0.0000 0.0000 4.9482
0.0000 0.0000 14.1559
0.0000 0.0000 18.3291
```


[3]
BeAsPbAu: calculated powder diffractogram (Cu Kα (λ = 1.5418 Å)), based on a DFT-relaxed cell (PBE, Alexandria).
- - -
Softdelete | softdelete - package containing the entities, repository and test (segregated at entity, repository and test layer) |
Stored procedures | storedprocedures - package containing the entities, repository and test (segregated at entity, repository and test layer) |
Transaction Management | transactionmanagement - package containing the entities, repository, service and test (segregated at entity, repository, service and test layer) |
REST APIs for CRUD operations | restfulapis - package containing the entities, repository, controller and test (segregated at entity, repository, controller and test layer) |
MongoDB CRUD operations | mongodb - package containing the entities, repository and test (segregated at entity, repository and test layer) |
Eh Cache - 2nd Level Caching | eh cache - package containing the entities, repository and test (segregated at entity, repository and test layer) |
H2 Database and MySQL Database | application.properties - Configurations for H2 and MySQL Databases |
ENUM to set Data in the Column | enums - package containing ENUM that is used with Rating entity(entitymanager package) and relevant Test methods |
TestNG Unit Tests | test/../repository - package containing TestNG tests for relevant Repositories |
- There are two Spring Boot Application file (annotated by SpringBootApplication), JDBCApplication and ** JpaAndHibernateApplication**; by default JpaAndHibernateApplication is configured for the Run, JDBCApplication annotation is commented out.
- To run the JDBCApplication to check SpringJDBC specific Runs, uncomment the SpringBootApplication annotation in the file and comment the SpringBootApplication annotation in the JpaAndHibernateApplication file
- The properties file have configuration for H2 database and MySQL, by default H2 database is setup
- To run the tests in H2 database, uncomment the configuration for H2 in application.properties and comment out the MySQL database, MongoDB properties
- On running the Tests file or the JPAandHibernateApplication file the H2 database will be utitlized and the data can be cross-checked in the H2 database
- The data.sql will be loaded to the H2 database for Test data when the H2 database is configured
- To run the tests in MySQL database, uncomment the configuration for MySQL in application.properties and comment out the H2 database, MongoDB properties
- Configure the MySQL database in the local environment
- From the src/main/resources take the db_schema.sql first and then the table.sql and run the script in MySQL to create the DB, Users and Relevant Tables required
- On running the Tests file or the JPAandHibernateApplication file the MySQL database will be utitlized and the data can be cross-checked in the MySQL database
Between two parts of the article: crystal structures
____________
Nd2ZnNi2Rh5: simulated X-ray powder pattern (Cu Kα), based on a crystal structure in Alexandria, relaxed with GGA-PBE.

Cell: 9.2754 9.2754 3.8777 Å, 90.00 90.00 90.00°
Sites, in units of the cell vectors:
Nd 0.1772 0.3228 0.0000
Nd 0.3228 0.8228 0.0000
Nd 0.6772 0.1772 0.0000
Nd 0.8228 0.6772 0.0000
Zn 0.0000 0.0000 0.0000
Zn 0.5000 0.5000 0.0000
Ni 0.1211 0.6211 0.0000
Ni 0.3789 0.1211 0.0000
Ni 0.6211 0.8789 0.0000
Ni 0.8789 0.3789 0.0000
Rh 0.0000 0.5000 0.5000
Rh 0.0641 0.7943 0.5000
Rh 0.2057 0.0641 0.5000
Rh 0.2943 0.5641 0.5000
Rh 0.4359 0.2943 0.5000
Rh 0.5000 0.0000 0.5000
Rh 0.5641 0.7057 0.5000
Rh 0.7057 0.4359 0.5000
Rh 0.7943 0.9359 0.5000
Rh 0.9359 0.2057 0.5000

Most intense lines, 5 to 70 degrees two-theta, most intense first:
38.5 deg, d = 2.339 Å, I = 100.0, (3 1 1)
40.1 deg, d = 2.250 Å, I = 54.0, (4 1 0)
42.2 deg, d = 2.144 Å, I = 39.7, (3 2 1)
31.6 deg, d = 2.833 Å, I = 34.1, (2 1 1)
46.9 deg, d = 1.939 Å, I = 30.8, (0 0 2)
63.3 deg, d = 1.469 Å, I = 27.6, (4 1 2)
35.9 deg, d = 2.504 Å, I = 26.6, (2 2 1)
41.3 deg, d = 2.186 Å, I = 19.7, (3 3 0)
45.6 deg, d = 1.990 Å, I = 13.4, (4 0 1)
43.6 deg, d = 2.074 Å, I = 12.2, (4 2 0)

----------

The following is a calculated XRD peak list of MoP5O15. It was derived from a structure optimized by DFT (PBE+U), using Cu Kα (weighted mean of Kα1 and Kα2).
Peak positions follow from Bragg's law for the DFT cell and can differ from measured ones.

Peak list (10 most intense, 2θ from 10° to 90°, by angle)
- 11.84°, d 7.474, rel. 50, (0 1 1)
- 12.69°, d 6.973, rel. 60, (0 2 0)
- 16.18°, d 5.478, rel. 100, (0 2 1)
- 17.65°, d 5.026, rel. 71, (1 0 -1)
- 20.06°, d 4.426, rel. 86, (0 0 2)
- 21.36°, d 4.159, rel. 51, (1 2 0)
- 21.59°, d 4.116, rel. 45, (0 3 1)
- 21.80°, d 4.077, rel. 71, (1 2 -1)
- 25.35°, d 3.514, rel. 93, (1 2 1)
- 30.91°, d 2.893, rel. 49, (1 4 0)

Atomic structure:
Cell lengths 5.337, 13.946, 9.116 Å; angles 90.00, 103.82, 90.00 degrees
Space group P2_1/m (No. 11)
One atom of each set of equivalent atoms:
Mo: 0.000 0.000 0.000
P: 0.024 0.250 0.498
P: 0.158 0.076 0.685
P: 0.496 0.142 0.978
O: 0.009 0.532 0.215
O: 0.022 0.663 0.397
O: 0.171 0.750 0.652
O: 0.215 0.622 0.988
O: 0.276 0.015 0.591
O: 0.287 0.250 0.463
O: 0.344 0.080 0.062
O: 0.382 0.141 0.802
O: 0.462 0.250 0.027
____________
Back to the article
- To run the tests in MongoDB, uncomment the configuration for MongoDB in application.properties and comment out the H2 and MySQL database properties
- On running the Tests file ItemSpringDataMongoRepositoryTest located under test/*/repository/mongodb/ the MongoDB will be utilized and the data can be cross-checked in the MongoDB
- Check the specified Port Number in application.properties is free or not, or else change it to an available port like 9891, 9020
- Setup the MySQL and MongoDB in local environment
Special Thanks to many Instructors who have done a splendid job on explaining the course concepts
- in28minutes
- Bharath Thippireddy
- And many more sources from which I learnt trouble-shooting points via YouTube, StackOverFlow, SpringJPA Docs and Articles